I enjoyed it...
"Yes, Marion Jones took steroids.
I’ve heard terms like ’shocking’, ‘betrayal’, andother typical brow beating clichés.
In fact here is the headline from CNN.com:
“Dope cheat Marion Jones quits track”
At this point are we still so cartoonishly surprised that a professional athlete denied taking performance enhancing drugs only to get caught later?
Track isn’t football. There’s no signing bonus or guaranteed money.
I mean, Shawne Merriman ‘roided up, got suspended 4 games (4 games!) then they let him play in the Pro Bowl. He was essentially welcomed back with open arms.
Rodney Harrison (I grew up 15 minutes from Gillette Stadium by the way) gets suspended for the same offense and people in New England can’t wait for him to come back.
If you want to be outraged, be outraged at that."
I penned this next post several years ago when the first baseball scandal came out; the message is even more relevant today with ONE exception...
The CrossFit Nation has arrived and is making an impact!
The Fabric of Our Society
### Calculated crystals, kept here for reference
********
No. 1
First-principles (PBE) data for an optimized crystal structure of Dy6Al43Mo4, as listed in the Materials Project database.

Properties
Space-group type: P6_3/mcm, No. 193
Magnetization: 0.267 μB per cell
E_tot: -4.6974 eV per atom
Calculated volume: 17.6 Å³ per atom

POSCAR file:
```
Dy6Al43Mo4
1.0
5.531 -9.580 0.000
5.531 9.580 0.000
0.000 0.000 17.602
Al Dy Mo
86 12 8
direct
0.596 0.449 0.250 Al
0.247 0.494 0.500 Al
0.254 0.254 0.469 Al
0.247 0.753 0.000 Al
0.000 0.159 0.385 Al
0.606 0.764 0.664 Al
0.236 0.842 0.664 Al
0.449 0.853 0.750 Al
0.394 0.158 0.836 Al
0.000 0.841 0.615 Al
0.247 0.753 0.500 Al
0.158 0.764 0.336 Al
0.506 0.753 0.000 Al
0.764 0.606 0.836 Al
0.853 0.404 0.250 Al
0.333 0.667 0.874 Al
0.000 0.853 0.250 Al
0.158 0.764 0.164 Al
0.394 0.236 0.336 Al
0.158 0.394 0.664 Al
0.000 0.841 0.885 Al
0.842 0.236 0.664 Al
0.551 0.147 0.250 Al
0.000 0.746 0.031 Al
0.842 0.606 0.164 Al
0.000 0.159 0.115 Al
0.147 0.551 0.250 Al
0.841 0.841 0.385 Al
0.147 0.596 0.750 Al
0.333 0.667 0.626 Al
0.667 0.333 0.126 Al
0.494 0.247 0.000 Al
0.841 0.000 0.885 Al
0.753 0.506 0.000 Al
0.764 0.606 0.664 Al
0.000 0.254 0.969 Al
0.394 0.158 0.664 Al
0.254 0.000 0.531 Al
0.853 0.853 0.750 Al
0.841 0.000 0.615 Al
0.333 0.667 0.126 Al
0.506 0.753 0.500 Al
0.667 0.333 0.626 Al
0.841 0.841 0.115 Al
0.394 0.236 0.164 Al
0.606 0.842 0.336 Al
0.494 0.247 0.500 Al
0.606 0.842 0.164 Al
0.746 0.746 0.969 Al
0.333 0.667 0.374 Al
0.753 0.247 0.500 Al
0.853 0.000 0.250 Al
0.606 0.764 0.836 Al
0.746 0.000 0.031 Al
0.236 0.842 0.836 Al
0.449 0.596 0.250 Al
0.000 0.746 0.469 Al
0.236 0.394 0.336 Al
0.147 0.147 0.250 Al
0.764 0.158 0.336 Al
0.158 0.394 0.836 Al
0.853 0.449 0.750 Al
0.236 0.394 0.164 Al
0.753 0.506 0.500 Al
0.159 0.159 0.615 Al
0.746 0.746 0.531 Al
0.667 0.333 0.374 Al
0.000 0.254 0.531 Al
0.147 0.000 0.750 Al
0.159 0.000 0.115 Al
0.764 0.158 0.164 Al
0.842 0.606 0.336 Al
0.247 0.494 0.000 Al
0.159 0.000 0.385 Al
0.746 0.000 0.469 Al
0.254 0.000 0.969 Al
0.159 0.159 0.885 Al
0.842 0.236 0.836 Al
0.753 0.247 0.000 Al
0.254 0.254 0.031 Al
0.551 0.404 0.750 Al
0.404 0.853 0.250 Al
0.404 0.551 0.750 Al
0.667 0.333 0.874 Al
0.000 0.147 0.750 Al
0.596 0.147 0.750 Al
0.469 0.469 0.595 Dy
0.469 0.000 0.095 Dy
0.531 0.531 0.405 Dy
0.000 0.469 0.095 Dy
0.469 0.469 0.905 Dy
0.000 0.531 0.595 Dy
0.531 0.000 0.595 Dy
0.000 0.469 0.405 Dy
0.000 0.531 0.905 Dy
0.531 0.000 0.905 Dy
0.531 0.531 0.095 Dy
0.469 0.000 0.405 Dy
0.729 0.729 0.250 Mo
0.271 0.000 0.250 Mo
0.000 0.729 0.750 Mo
0.271 0.271 0.750 Mo
0.000 0.000 0.000 Mo
0.000 0.000 0.500 Mo
0.000 0.271 0.250 Mo
0.729 0.000 0.750 Mo
```


No. 2
First-principles (PBE) data for an optimized crystal structure of ReO2F3, as listed in the Materials Project database.

Properties
Space-group type: P2_1/c, No. 14
Magnetization: 0.001 μB per cell
E_tot: -6.6148 eV per atom
Calculated volume: 15.8 Å³ per atom

POSCAR file:
```
ReO2F3
1.0
-4.080 7.811 5.131
-4.833 -6.067 5.393
11.212 -1.382 11.019
O F Re
32 48 16
direct
********
Ok, it's now been confirmed in the news. Our heroes in Major League baseball are taking steroids. As we're now unable to avoid the fact that our favorite American past time is a drug sport, what does it say about us and our society? How do we compete in our everyday lives when our elite athletes think they need to take illegal substances to improve their daily performance?
Today's culture encourages us to seek end products that are “fantasy” ideals. With an emphasis on a look or a number, the path taken to obtain these often illusive goals is irrelevant and only becomes the focus when brought to light in a newsworthy scandal. We can ask each other if the bar is set too high for our professional athletes, but a better question might be if the fitness image set for you and me is even more unrealistic.
A main villain in perpetuating these much sought after images is the health and fitness industry. Everyone is led to believe there is an easy way to get fit. With 64% of Americans overweight, and the rest wanting more energy, strength, stamina, longevity, and so on, the quick fixes just aren't working. The problem is that no one's asking what it really means to be healthy and fit. The focus is on how to get the six-pack abs and the tight buns. Why isn't anyone asking me what they need to do to be able to play ball with their child without throwing out their shoulder, or how do they get to the point where they are able to climb stairs to get to their office without getting out of breath. Seems to me the health of our Nation is at an all time low with no means in sight to reverse this epidemic. Isn't it interesting though that the weight loss, food, health, and fitness industry is making its' billions peddling their magic pills, products, and yes, even mystery cream. So, is it news that baseball players are looking for the ultimate quick fix, or is it more shocking that we are?
'''
KNbB2O6 | the Materials Project database | PBE | optimized geometry; relative energy among the computed polymorphs = 7.1 meV/atom
1.0
-1.7693 3.5734 -0.0295
1.3807 0.7447 7.3954
8.6847 4.2831 -2.0527
O B K Nb
12 4 2 2
Cartesian
6.1315 7.1863 -0.4068
6.5340 3.5187 3.6940
0.8122 4.6458 5.7046
6.9900 7.6493 4.1913
3.4912 2.0372 1.5455
3.0405 1.6218 -0.7310
6.0322 3.2481 1.0067
4.0490 4.5599 2.6490
-0.0668 4.1717 0.9965
-0.7384 1.5506 -0.0183
6.4014 7.5125 1.9125
4.0135 2.3189 4.3429
3.6523 1.8955 5.5806
6.0233 7.4178 3.2675
2.7271 1.3965 0.6251
5.5677 7.1721 0.8275
0.8799 2.3640 3.4618
4.2735 4.6553 -1.2666
4.8584 2.9250 2.6625
-1.5480 3.1854 -0.0317


Compound: KEuGe4O12
Source: the Materials Project database
Functional: PBE
Structure: optimized geometry

Geometry as POSCAR:
```
KEuGe4O12
1.0
0.0000 3.8173 3.8636
0.0000 -3.8173 3.8636
7.6651 0.0000 0.0000
Ge O Eu K
4 12 1 1
Cartesian
1.9672 1.8488 1.9494
5.6979 1.8488 1.9494
1.9672 -1.8488 1.9494
5.6979 -1.8488 1.9494
1.8296 0.0000 5.5177
5.9617 0.0000 2.0910
1.7034 0.0000 2.0910
3.8326 -1.7846 1.9913
5.9727 1.8881 3.8569
0.0000 1.7839 5.7884
5.8355 0.0000 5.5177
0.0000 -1.7839 5.7884
3.8326 1.7846 1.9913
5.9727 -1.8881 3.8569
1.6924 -1.8881 3.8569
1.6924 1.8881 3.8569
0.0000 0.0000 3.9840
3.8326 0.0000 7.6885
```


| no. | total energy after the MP2020 corrections (eV/f.u.) |
| --- | --- |
| 1 | -83.06 |
| 2 | -120.13 |

~~~~~

Crystalline Mg4Si3 at its relaxed geometry, computed with PBE.

Space-group type: P1, No. 1
Energy above the lowest structure with this stoichiometry in meV per atom: 106.5
Total DFT energy (no corrections) in eV per formula unit: -22.12
Formation enthalpy at 0 K in kJ/mol of atoms: 10.6
Magnetization in μB per formula unit: 0.00
Crystal system: triclinic

Cell: 5.4817 7.5186 7.7709 Å, 104.45 110.26 104.96°
Closest atoms and distances in Å follow each position.
Fractional coordinates of all 14 atoms:
Mg 0.5734 0.4957 0.0532  3 Si 2.67-2.82, 2 Mg 2.94-2.96
Si 0.8058 0.9588 0.6535  2 Si 2.53-2.57, 3 Mg 2.76-2.82
Si 0.4243 0.7965 0.0017  1 Si 2.57, 5 Mg 2.67-2.84
Mg 0.3807 0.0263 0.7524  5 Si 2.82-2.92, 1 Mg 3.06
Mg 0.7222 0.1967 0.2017  5 Si 2.69-2.96, 1 Mg 2.94
Mg 0.0373 0.9633 0.0317  4 Si 2.76-2.92
Mg 0.8981 0.5977 0.5290  5 Si 2.88-3.11, 4 Mg 2.90-3.17
Si 0.4902 0.2227 0.4947  2 Si 2.48-2.67
Si 0.2924 0.3750 0.2585  1 Si 2.48, 1 Mg 2.73
Mg 0.4793 0.5961 0.6762  5 Si 2.76-2.93, 2 Mg 2.90-2.99
Mg 0.2923 0.7587 0.3166  5 Si 2.79-2.95
Mg 0.9466 0.3883 0.8845  4 Si 2.76-3.02, 2 Mg 2.96-3.02
Si 0.0518 0.2341 0.5678  3 Si 2.47-2.67, 1 Mg 2.69
Si 0.8556 0.8901 0.3283  3 Si 2.47-2.57

~~~~~

[1]
VASP calculation (PBE) on a relaxed EuMg2H6 crystal.

Lattice parameters (Å, degrees): 3.742 3.742 8.027 90.00 90.00 90.00
Fractional positions:
H 0.500 0.000 0.790
H 0.500 0.500 0.000
H 0.000 0.500 0.790
H 0.000 0.500 0.210
H 0.500 0.000 0.210
H 0.500 0.500 0.500
Eu 0.000 0.000 0.000
Mg 0.500 0.500 0.724
Mg 0.500 0.500 0.276

Summary:
* raw total energy: -4.08 eV per atom
'''
There is no single external force greater than the resolve that we all internally possess. When the paradigm in fitness changes its present focus of the image in the mirror to building character and inner strength, we will see our Nation on the road to true health once again.
Strength and Honor,